I was born a Catholic and went to a Catholic school until the third grade. A couple of years after my switch to public school, I began to recognize many problems with the Roman Catholic Church. In fact, it wasn’t until the first gay person I knew opened up to me about his sexuality and I learned of the church’s intolerance of the gay community, that I really stopped regarding the church as a significant influence on my life.
### Unrelated to this page: data records
=====
First-principles (GGA+U) data for crystalline Cr3CoTe2P6O24 at its relaxed geometry, as listed in the Materials Project database.

ΔH_f (0 K): -2.292 eV per atom
volume: 1421 Å³ per cell

The structure in CIF format:
```
data_Cr3CoTe2P6O24
_chemical_formula_sum 'Cr9 Co3 Te6 P18 O72'
_cell_length_a 8.6504
_cell_length_b 8.6504
_cell_length_c 21.9201
_cell_angle_alpha 90.00
_cell_angle_beta 90.00
_cell_angle_gamma 120.00
_space_group_name_H-M_alt 'R 3'
_space_group_IT_number 146
_space_group_name_Hall 'R 3'
loop_
_atom_site_label
_atom_site_fract_x
_atom_site_fract_y
_atom_site_fract_z
Cr1 0.0000 0.0000 0.0000
Cr2 0.0000 0.0000 0.2102
Cr3 0.0000 0.0000 0.7065
Co1 0.0000 0.0000 0.5117
Te1 0.0000 0.0000 0.3673
Te2 0.0000 0.0000 0.8582
P1 0.0405 0.3726 0.2701
P2 0.0475 0.6695 0.7682
O1 0.0108 0.8102 0.0432
O2 0.0123 0.2159 0.5433
O3 0.0128 0.1791 0.2734
O4 0.0183 0.8335 0.7689
O5 0.1355 0.6675 0.8278
O6 0.1401 0.4651 0.3283
O7 0.1704 0.4882 0.6045
O8 0.1708 0.6849 0.0980
```

First-principles (GGA+U) data for crystalline Cr3Co3Sb2O16 at its relaxed geometry, as listed in the Materials Project database.

ΔH_f (0 K): -1.622 eV per atom
volume: 267 Å³ per cell

The structure in CIF format:
```
data_Cr3Co3Sb2O16
_chemical_formula_sum 'Cr3 Co3 Sb2 O16'
_cell_length_a 5.766
_cell_length_b 5.787
_cell_length_c 9.212
_cell_angle_alpha 89.41
_cell_angle_beta 88.61
_cell_angle_gamma 60.20
_space_group_name_H-M_alt 'P 1'
_space_group_IT_number 1
loop_
_space_group_symop_operation_xyz
'x,y,z'
loop_
_atom_site_label
_atom_site_fract_x
_atom_site_fract_y
_atom_site_fract_z
Cr1 0.000 0.000 0.000
Cr2 0.175 0.661 0.506
Cr3 0.512 0.494 0.017
Co1 0.166 0.169 0.512
Co2 0.512 0.000 0.012
Co3 0.678 0.659 0.513
Sb1 0.009 0.482 0.235
Sb2 0.663 0.158 0.730
O1 0.007 0.990 0.620
O2 0.176 0.654 0.118
O3 0.178 0.148 0.125
O4 0.301 0.347 0.389
O5 0.340 0.837 0.919
O6 0.349 0.829 0.418
O7 0.377 0.308 0.892
O8 0.493 0.986 0.623
O9 0.498 0.503 0.621
O10 0.671 0.657 0.120
O11 0.682 0.154 0.118
O12 0.816 0.312 0.882
O13 0.818 0.864 0.884
O14 0.851 0.790 0.386
O15 0.853 0.346 0.396
O16 0.994 0.497 0.613
```

First-principles (GGA+U) data for crystalline CrCo4SbO8 at its relaxed geometry, as listed in the Materials Project database.

ΔH_f (0 K): -1.677 eV per atom
volume: 322 Å³ per cell

The structure in CIF format:
```
data_CrCo4SbO8
_chemical_formula_sum 'Cr2 Co8 Sb2 O16'
_cell_length_a 10.533
_cell_length_b 6.029
_cell_length_c 6.132
_cell_angle_alpha 90.00
_cell_angle_beta 124.20
_cell_angle_gamma 90.00
_space_group_name_H-M_alt 'C 1 2/m 1'
_space_group_IT_number 12
loop_
_space_group_symop_operation_xyz
'x,y,z'
'-x,-y,-z'
'-x,y,-z'
'x,-y,z'
'x+1/2,y+1/2,z'
'-x+1/2,-y+1/2,-z'
'-x+1/2,y+1/2,-z'
'x+1/2,-y+1/2,z'
loop_
_atom_site_label
_atom_site_fract_x
_atom_site_fract_y
_atom_site_fract_z
Cr1 0.000 0.000 0.000
Co1 0.138 0.500 0.402
Co2 0.250 0.250 0.000
Sb1 0.000 0.000 0.500
O1 0.000 0.226 0.253
O2 0.230 0.000 0.741
O3 0.232 0.000 0.210
```
=====
### Here the page continues
To be completely honest, I don’t know all that much about Catholicism, mostly because I stopped paying attention long ago. Aside from the whole gay thing, something that’s always really bothered me about the church is the very lavish existence of the Vatican. The idea of this divine, king-like celebrity living in his own palace in his own country has just always seemed extravagant and excessive to me, especially regarding a religion that preaches modest living and the importance of charity. This is why I fell in love with comedian Sarah Silverman after watching her tastefully offensive video, “Sell the Vatican, Feed the World,” in which she presented her solution to world hunger. She mocked Pope Benedict for preaching about living humbly while living in a “house that is a city” and advocated for the selling of his magnificent home, claiming that it would exempt him from any involvement in the Holocaust.
The church, at least from what I have observed, has been on a path to hell. Between its constant scandals and overly strict guidelines, the church is falling out of step with the rest of the world.
Recently, however, Pope Francis has been taking big steps toward making it more accepting. A couple of weeks ago, Pope Francis was interviewed for an Italian newspaper, La Repubblica, in which he was asked if God forgives those who do not believe. His response was unheard of. He said, “God’s mercy has no limits, if you go to him with a sincere and repentant heart, the issue for those who do not believe in God is to obey their conscience,” indicating that God does in fact accept atheists and those with beliefs not in line with Catholicism.
In another recent interview, Pope Francis advocated for the church’s relaxation of their focus on small-minded rules, such as those concerning abortion, gay marriage and contraceptive methods, stating, “The church’s pastoral ministry cannot be obsessed with the transmission of a disjointed multitude of doctrines to be imposed insistently.”
While the Pope has recently issued statements reaffirming the church’s stance against abortion to reassure conservatives, he still signifies a major progressive turn. The Pope is on his way to establishing the church as an institution of acceptance and love, rather than judgment and ridicule. Ultimately, this could be exactly what the church needs to regain popularity. It may also serve to bring Catholics back to the fold.
Though Pope Francis has been praised for his comments by left-leaning Catholics and even agnostics and atheists, many liberals still doubt his sincerity, and a lot of conservatives are upset by the Pope’s stepping away from some traditional Catholic values.
_Between two parts of the article: data records_
(1)
Computed, not measured: an optimized crystal structure of Na5Mn11O24 at the GGA+U level of DFT.

Calculated values
MP2020-corrected energy: -299.4 eV for the cell shown
Calculated total energy: -6.613 eV/atom
Formation enthalpy at 0 K: -1.8307 eV/atom

POSCAR file:
```
Na5Mn11O24
1.0
5.3521 -3.0014 0.0000
5.3521 3.0014 0.0000
-0.8341 0.0000 14.8202
Na Mn O
5 11 24
direct
0.0000 0.0000 0.0000 Na
0.0071 0.0071 0.7527 Na
0.3300 0.3300 0.4194 Na
0.3545 0.3545 0.6801 Na
0.6541 0.6541 0.0746 Na
0.0034 0.5034 0.8767 Mn
0.0037 0.0037 0.3744 Mn
0.1657 0.6649 0.2124 Mn
0.1670 0.1670 0.2148 Mn
0.3216 0.3216 0.0442 Mn
0.3455 0.8407 0.5397 Mn
0.5034 0.0034 0.8767 Mn
0.6649 0.1657 0.2124 Mn
0.6861 0.6861 0.7093 Mn
0.8399 0.8399 0.5369 Mn
0.8407 0.3455 0.5397 Mn
0.0111 0.0111 0.6037 O
0.0415 0.4684 0.1402 O
0.1435 0.1435 0.4653 O
0.1477 0.7250 0.4626 O
0.1490 0.6029 0.9755 O
0.1842 0.1842 0.9485 O
0.2851 0.8590 0.2911 O
0.3257 0.3257 0.8219 O
0.3396 0.3396 0.2771 O
0.4045 0.8581 0.7768 O
0.4663 0.4663 0.1365 O
0.4684 0.0415 0.1402 O
0.5386 0.9684 0.6107 O
0.5413 0.5413 0.6149 O
0.6029 0.1490 0.9755 O
0.6682 0.6682 0.4718 O
0.6809 0.6809 0.9314 O
0.7250 0.1477 0.4626 O
0.8226 0.8226 0.8044 O
0.8581 0.4045 0.7768 O
0.8590 0.2851 0.2911 O
0.8621 0.8621 0.2878 O
0.9684 0.5386 0.6107 O
0.9965 0.9965 0.1489 O
```

=====

(2)
Computed, not measured: an optimized crystal structure of Ca2SmYMn4O12 at the GGA+U level of DFT.

Calculated values
MP2020-corrected energy: -166.6 eV for the cell shown
Calculated total energy: -7.583 eV/atom
Formation enthalpy at 0 K: -2.7677 eV/atom

POSCAR file:
```
Ca2SmYMn4O12
1.0
5.4066 0.0000 0.0000
0.0000 7.6161 0.0000
-0.0179 0.0000 5.5424
Ca Sm Y Mn O
2 1 1 4 12
direct
0.0000 0.0000 0.0000 Ca
0.4999 0.5000 0.4071 Ca
0.9741 0.5000 0.9004 Sm
0.4723 0.0000 0.5104 Y
0.4889 0.2486 0.9563 Mn
0.4889 0.7514 0.9563 Mn
0.9880 0.2486 0.4503 Mn
0.9880 0.7514 0.4503 Mn
0.0742 0.5000 0.4775 O
0.2031 0.2013 0.7381 O
0.2031 0.7987 0.7381 O
0.2849 0.1988 0.2489 O
0.2849 0.8012 0.2489 O
0.3984 0.5000 0.9770 O
0.5760 0.0000 0.9193 O
0.7021 0.2955 0.6661 O
0.7021 0.7045 0.6661 O
0.7834 0.2956 0.1598 O
0.7834 0.7044 0.1598 O
0.8871 0.0000 0.4286 O
```

=====

(3)
Computed, not measured: an optimized crystal structure of Fe2O3 at the GGA+U level of DFT.

Calculated values
MP2020-corrected energy: -78.3 eV for the cell shown
Calculated total energy: -6.513 eV/atom
Formation enthalpy at 0 K: -1.4706 eV/atom

POSCAR file:
```
Fe2O3
1.0
1.4362 -4.7637 0.0000
1.4362 4.7637 0.0000
0.0000 0.0000 7.3118
Fe O
4 6
direct
0.0000 0.0000 0.0000 Fe
0.0000 0.0000 0.5000 Fe
0.2489 0.7511 0.7500 Fe
0.7511 0.2489 0.2500 Fe
0.1028 0.8972 0.2500 O
0.3610 0.6390 0.0753 O
0.3610 0.6390 0.4247 O
0.6390 0.3610 0.5753 O
0.6390 0.3610 0.9247 O
0.8972 0.1028 0.7500 O
```

=====

(4)
Computed, not measured: an optimized crystal structure of CaFeO2 at the GGA+U level of DFT.

Calculated values
MP2020-corrected energy: -117.6 eV for the cell shown
What both sides need to realize is that Pope Francis can be beneficial to everyone. The Catholic Church undoubtedly still has a huge influence across the world. Whether you view that as a positive or negative, it’s still the case. For agnostic with no intentions of joining the Catholic Church, but hopes of more acceptance throughout the world, Pope Francis can benefit their cause. For devout Catholics unsettled by the declining popularity of the church and hoping it can maintain its influence, Pope Francis can also benefit their cause.
********
(1)
A geometry-optimized Nd2IrRu structure. Source: the Materials Project database, functional PBE.

Cell lengths 5.0003, 5.0003, 5.0003 Å; angles 60.00, 60.00, 60.00 degrees
Sites, in units of the cell vectors:
1 Nd 0.2500 0.2500 0.2500
2 Nd 0.7500 0.7500 0.7500
3 Ir 0.5000 0.5000 0.5000
4 Ru 0.0000 0.0000 0.0000

Computed properties:
The magnetization comes out at 0.02 μB per cell. As for the total energy: -28.94 eV/cell. The formation energy is -322 meV per atom.

---

(2)
A geometry-optimized NdSbIr structure. Source: the Materials Project database, functional PBE.

Cell lengths 4.5880, 7.4498, 8.0347 Å; angles 90.00, 90.00, 90.00 degrees
Sites, in units of the cell vectors:
1 Nd 0.2500 0.5171 0.1899
2 Nd 0.7500 0.4829 0.8101
3 Nd 0.7500 0.9829 0.6899
4 Nd 0.2500 0.0171 0.3101
5 Sb 0.2500 0.6732 0.5866
6 Sb 0.7500 0.3268 0.4134
7 Sb 0.7500 0.8268 0.0866
8 Sb 0.2500 0.1732 0.9134
9 Ir 0.2500 0.7976 0.9071
10 Ir 0.7500 0.2024 0.0929
11 Ir 0.7500 0.7024 0.4071
12 Ir 0.2500 0.2976 0.5929

Computed properties:
As for the total energy: -81.32 eV/cell. The formation energy is -865 meV per atom.

---

(3)
A geometry-optimized NdSiIr structure. Source: the Materials Project database, functional PBE.

Cell lengths 6.3653, 6.3653, 6.3653 Å; angles 90.00, 90.00, 90.00 degrees
Sites, in units of the cell vectors:
1 Nd 0.8680 0.8680 0.8680
2 Nd 0.6320 0.1320 0.3680
3 Nd 0.1320 0.3680 0.6320
4 Nd 0.3680 0.6320 0.1320
5 Si 0.5837 0.5837 0.5837
6 Si 0.9163 0.4163 0.0837
7 Si 0.4163 0.0837 0.9163
8 Si 0.0837 0.9163 0.4163
9 Ir 0.1820 0.1820 0.1820
10 Ir 0.3180 0.8180 0.6820
11 Ir 0.8180 0.6820 0.3180
12 Ir 0.6820 0.3180 0.8180

Computed properties:
As for the total energy: -87.58 eV/cell. The formation energy is -955 meV per atom.

=====

1.
The following is a DFT calculation (PBE-GGA) of a geometry-optimized Mg2Ni structure.

Structure (POSCAR):
```
Mg2Ni
1.0
6.057 0.000 0.000
-0.011 6.075 0.000
-3.016 -2.952 6.147
Mg Ni
8 4
Direct
0.000 0.000 0.000
0.000 0.500 0.000
0.238 0.222 0.493
0.255 0.722 0.493
0.492 0.493 0.989
0.497 0.993 0.988
0.737 0.249 0.494
0.757 0.749 0.494
0.118 0.120 0.747
0.376 0.867 0.245
0.629 0.620 0.747
0.869 0.368 0.245
```

## Properties
Energy relative to the elements ... 52 meV per atom
Calculated density ... 3.2 g/cm³
Crystal system ... triclinic
Total magnetization ... 0.045 μB per cell

=====

2.
The following is a DFT calculation (PBE-GGA) of a geometry-optimized MgNi5 structure.

Structure (POSCAR):
```
MgNi5
1.0
2.206 1.274 4.131
-2.206 1.274 4.131
0.000 -2.548 4.131
Mg Ni
1 5
Direct
0.000 0.000 0.000
0.177 0.823 0.500
0.330 0.330 0.330
0.500 0.177 0.823
0.670 0.670 0.670
0.823 0.500 0.177
```

## Properties
Energy relative to the elements ... -16 meV per atom
Calculated density ... 7.6 g/cm³
Crystal system ... trigonal
Total magnetization ... 1.900 μB per cell

=====

3.
The following is a DFT calculation (PBE-GGA) of a geometry-optimized MgNi2 structure.

Structure (POSCAR):
```
MgNi2
1.0
0.000 3.405 3.405
3.405 0.000 3.405
********
Pope Francis is not going to change the Catholic Church overnight, perhaps not even in his lifetime. Perhaps he doesn’t even want to significantly change the church. Though he may never start rallying for Planned Parenthood, that’s fine — he’s getting the ball rolling. He’s opening the door for more possibilities, for both the Catholic Church and the people who feel they have been victimized.